Why FinOps for Cloud Financial Management?
While the cloud can unlock innovation and agility, it’s easy to lose visibility and control of costs along the way. Finance teams accustomed to traditional IT projects often struggle with the opaque and variable costs associated with cloud platforms, while application teams may not understand the budgeting and fiduciary responsibility of the finance team. FinOps brings a suite of best practices for collaborative, real-time cloud financial management.

Cloudsoft are proud to be a member of the FinOps Foundation, as well as a FinOps Certified Service Provider (FCSP) and also a launch partner for the FCSP program. We are excited to be part of the growing community focused on developing and sharing best practices in cloud financial management. Our customers need to innovate without causing costs to explode. The FinOps principles and practices are crucial to gaining optimum business value from the cloud.
The Problem
A common pattern for enterprise cloud adoption is that costs creep up until some tipping point (or cost-related incident) occurs, whereupon it suddenly gets the full attention of the leadership. This “spend panic” leads to an immediate push for accountability and controls, frustration with the complexity of the bill, and a strong desire to reduce costs.
Unfortunately, cloud financial management can be difficult to achieve without sacrificing innovation and losing much of the business value that the cloud provides. It can result in blame-and-shame rather than tackling the underlying issues, and imposing barriers (rather than guardrails) to enforce controls on application teams that are trying to move fast. In the worst case, it can torpedo the entire cloud strategy. Fortunately, help is at hand, with mature FinOps principles which we’ll cover at the end of this.
Common problems for finance teams include:
- Financial processes are often geared towards CapEx and predictable OpEx.
Cloud adoption shifts spend from Capital Expenditure (CapEx) to Operational Expenditure (OpEx) with on-demand pay-as-you-go services. Budgets, forecasts and reporting processes, used successfully for years, are often not appropriate for this variable spend. - The traditional procurement model no longer fits.
A traditional procurement team would sign off on purchases before money is spent. Choosing suppliers, negotiating discounts, and forecasting were well understood problems. In contrast, development and operations teams now have the power to launch on-demand cloud resources. Budgets are usually not hard limits. - Understanding and forecasting cloud costs is hard.
Cloud billing is incredibly complex. For example, some enterprises receive a monthly cost and usage report (CUR) with billions of line-items, often with multiple rows for the same resource where different rates apply. Even attributing these costs to the correct business units can be hard if there is not a good account structure and tagging strategy in place ahead of time.
Cost predictions by application owners are often wildly inaccurate. Without good processes in place, these might not be noticed until the bill at the end of the month, or worse they might be obscured by other parts of the cloud bill and go unnoticed.
Common problems for application teams include:
- Predicting cloud costs is hard.
Cloud costs are notoriously difficult to predict for anything but the simplest of applications, even if usage patterns are well understood. It is all too simple to architect or configure part of the system sub-optimally (from a cost perspective). For example, teams can be caught off-guard by extremely high variable costs for logging, metric collection, data egress, or per-request charging models. - Innovation is the top priority.
Application teams are often incentivised to release new features faster and to deliver customer success — cloud costs are not an explicit priority until a sudden shift of focus by the leadership team. Architectures often involve tradeoffs, for example between reliability and cost. Other cost reduction opportunities often require engineering effort. - Lack of cost visibility.
In large organisations especially, application teams may not even have visibility of the cloud costs they are incurring. For example, insufficient permission to view the billing and cost explorer console. The true cost (e.g. correctly taking into account reserved instances and discounted rates) is often not communicated. With shared services especially, proper cost allocation requires sophisticated processes for showback or chargeback. - Wasted spend.
This lack of visibility, combined with prioritising innovation, can lead to big wastage. For example, dev/test resources left running 24/7 when only needed during office hours, or resources not being terminated at the end of a project, or simply sub-optimal choices due to a lack of knowledge about the true cost of a widely-used resource. - Lack of understanding of financial processes.
Application teams often do not understand the bigger picture of how their budgets are used. For example, most teams do not appreciate the fiduciary responsibilities of the finance team — that the CFO can be fired or even go to prison if they do not correctly review costs and financial reports.
Enter FinOps: a collection of cloud financial management best practices and tools that allow organisations to see, understand, and take control of their cloud spend. Like “DevOps” before it, the name conveys the cross-functional nature of cost management and value realisation, involving stakeholders from finance, engineering, operations, and the management team (catchier but less accurate than the name DevSecFinBizOps).
This also links nicely to recent updates to the Cost Optimisation pillar of the AWS Well-Architected Framework, which promotes cloud financial management. It includes great advice and best practices, including creating “a partnership between finance and technology”, which is in strong agreement with the best practices from the FinOps community.
FinOps Principles
There are six principles laid out in the excellent book Cloud FinOps: Collaborative, Real-Time Cloud Financial Management, and continually refined by the FinOps Foundation’s community:
- Teams need to collaborate.
As seen from the challenges described earlier, no one team can tackle this. It requires near-real time collaboration and continual improvement to deliver efficiency and innovation. - Decisions are driven by the business value of cloud.
There are constant trade-offs between cost, quality and speed. By itself, total cost is often a poor measure (unit-economics is a better model, such as the cost-per-user). For example, sometimes it is strategically more important to increase revenue by focusing on short-term features or improved reliability, even if costs increase. Other times, cost considerations will influence the appropriate service levels to offer customers. - Everyone takes ownership for their cloud usage.
/*
1.
DFT (PBE-GGA) results for a geometry-optimized BaCoP2 structure.

POSCAR file:
```
BaCoP2
1.0
2.0637 2.7355 4.0544
-3.0253 4.2984 0.7426
-1.3161 -5.1274 -0.3972
P Co Ba
2 1 1
Cartesian
0.0000 0.0000 0.0000
-2.4111 1.3440 1.3719
0.1334 0.5625 3.0278
-0.4808 3.5169 2.3985
```

Computed properties:
- D(E_F): 6.715 states/eV per cell
- ΔE_f: 0.562 eV per atom

=====

2.
DFT (PBE-GGA) results for a geometry-optimized Mn2Zn structure.

POSCAR file:
```
Mn2Zn
1.0
3.6247 -6.2782 0.0000
3.6247 6.2782 0.0000
0.0000 0.0000 2.7752
Zn Mn
3 6
Cartesian
3.6247 2.0927 0.0000
3.6247 -2.0927 0.0000
0.0000 0.0000 1.3876
2.6739 0.0000 1.3876
2.2878 -3.9625 1.3876
1.0804 1.8713 0.0000
1.0804 -1.8713 0.0000
2.2878 3.9625 1.3876
5.0887 0.0000 0.0000
```

Computed properties:
- D(E_F): 8.199 states/eV per cell
- ΔE_f: 0.269 eV per atom

~~~~~

# Hg3As5Br12, optimized geometry, DFT PBE
data_Hg3As5Br12
_chemical_formula_sum 'Hg24 As40 Br96'
_symmetry_space_group_name_H-M 'I a -3 d'
_symmetry_Int_Tables_number 230
_symmetry_space_group_name_Hall '-I 4bd 2c 3'
_cell_length_a 18.3507
_cell_length_b 18.3507
_cell_length_c 18.3507
_cell_angle_alpha 90.00
_cell_angle_beta 90.00
_cell_angle_gamma 90.00
loop_
_atom_site_label
_atom_site_fract_x
_atom_site_fract_y
_atom_site_fract_z
Hg1 0.0000 0.2500 0.1250
As1 0.0000 0.0000 0.0000
As2 0.0000 0.2500 0.3750
Br1 0.0341 0.1419 0.9566
# Total magnetic moment: 0.0 μB/f.u.
# VASP energy: -0.170 Ry per atom
# Fermi-level density of states: 62.6 states/eV/cell
# Raw formation energy: -0.0957 eV/atom

~~~~~

The following is a DFT calculation (PBE-GGA) of a geometry-optimized HfSc2Au structure.

a = 7.863 Å, b = 7.863 Å, c = 5.900 Å
α = 90.00°, β = 90.00°, γ = 90.00°
Space group I-42d (No. 122)
One atom of each set of equivalent atoms:
Hf (0.000, 0.000, 0.000) x4
Sc (0.208, 0.250, 0.625) x8
Au (0.000, 0.000, 0.500) x4

Calculated values
Calculated total energy, eV/cell: -104.0
Total magnetization, μB/f.u.: 0.0
Formation energy from the elements, meV/atom: -28
Calculated density, g cm⁻³: 8.474
Distance to the lowest polymorph of the same formula, meV/atom: 346


The following is a DFT calculation (PBE-GGA) of a geometry-optimized HgGeMo2 structure.

a = 6.434 Å, b = 6.434 Å, c = 6.434 Å
α = 90.00°, β = 90.00°, γ = 90.00°
Space group Fm-3m (No. 225)
One atom of each set of equivalent atoms:
Hg (0.000, 0.000, 0.000) x4
Ge (0.000, 0.000, 0.500) x4
Mo (0.250, 0.250, 0.250) x8

Calculated values
Calculated total energy, eV/cell: -97.9
Total magnetization, μB/f.u.: 0.0
Formation energy from the elements, meV/atom: 529
Calculated density, g cm⁻³: 11.596
Distance to the lowest polymorph of the same formula, meV/atom: 0


The following is a DFT calculation (PBE-GGA) of a geometry-optimized ZrMo2Se structure.

a = 3.213 Å, b = 4.774 Å, c = 4.706 Å
α = 90.00°, β = 91.68°, γ = 90.00°
Space group P2/m (No. 10)
One atom of each set of equivalent atoms:
Zr (0.000, 0.000, 0.000) x1
Mo (0.338, 0.500, 0.753) x2
Se (0.500, 0.000, 0.500) x1
*/
Accountability and decentralised decision making is crucial for application teams to innovate fast. - Reports should be accessible and timely.
Cloud resources can be charged by the second (or less), making near real-time cost analysis and reporting important. These costs should be shared with all relevant stakeholders, although each may require a different style of report. - A centralised team drives FinOps.
Some activities must be centralised to reduce duplication, such as cost reporting and anomaly detection. Other activities make most sense when applied “in the aggregate”, such as identifying bulk discounts, or negotiating rates. - Take advantage of the variable cost model of cloud.
This is an opportunity to reduce costs: turn off unused resources, experiment quickly without long-term commitments, and make regular incremental improvements to cloud usage.
Adopting FinOps
The FinOps Lifecycle
FinOps practitioners encourage a repeated and fast cycle through the following three phases:
- Inform: gives visibility and allocation of cloud costs. It also gives comparison with budgets, forecasts, and the business value being delivered.
- Optimise: identifies the actions based on the business goals, such as purchasing savings plans or reducing waste by turning off unused dev resources.
- Operate: take the agreed actions, with a focus on continual improvement and measurable goals.
Each team and initiative may be going through these phases independently and at their own pace.
FinOps Maturity
FinOps practitioners also encourage a “crawl, walk, run” approach. Start with low-hanging fruit and incremental improvements rather than trying to immediately copy sophisticated financial management processes that have taken other companies years to refine. One can easily trip over cultural and technical barriers if trying to “run” too soon.
A company will likely be at different levels of maturity for different aspects of cloud financial management. For example, the savings plan / reserved instance coverage may be excellent (a “run” stage), while allocating costs and budgets to individual teams is still at the “crawl” stage.
FinOps Teams
The centralised FinOps team needs a wide range of skills. They need to communicate with business executives, speak to and understand the world of finance, have meaningful conversations about cloud costs and architectures with application teams, analyse large volumes of data, and be FinOps advocates to educate and inspire the wider company.
There is huge variation between companies in the size of FinOps teams (from 1 person to 5+ people), and in where the FinOps team sits in the organisation (e.g. CIO, CFO, CTO, etc). It is often the area of the business that identifies the problem and pushes for FinOps adoption who end up “owning” the FinOps team.
Practical Advice
Here is an example elevator pitch to executives. “Increase the business value of cloud — reduce costs without sacrificing innovation. Through increased collaboration and best practices, you can improve visibility, understanding, and accountability of cloud spend — helping with forecasting and planning.” However, it can be very hard to change the way a company thinks about and tackles such problems.
Broad executive sponsorship is needed to get the most from FinOps. It will require improved collaboration and communication across teams, cultural change, and greater alignment of incentives. It can be a slow process to convince all the stakeholders. Stories from peers in the FinOps Foundation can help here, with 1,800+ members and representatives from 500+ companies with over $1bn in revenue.
It is important to start simple (crawl, walk, run) and to look for low-hanging fruit (e.g. identify the largest costs and biggest wastage/opportunities). Work through the inform → optimise → operate cycle quickly. For example, don’t get bogged down in “perfecting” the inform phase the first time round — instead identify areas for improvement, both to reduce costs and to improve the cost reporting. This is especially true when the leadership have hit “spend panic” and are looking for quick results.
If there is a Cloud Center of Excellence (or Cloud Center of Enablement, as Forrest Brazeal convincingly argues), this aligns well with the goals of the FinOps team. Collaboration here is especially important.
Another strong alliance is with the security team. There can be a large overlap in objectives: for example separating applications into different AWS accounts simplifies cost allocation as well as improving security; turning off unused resources saves money while also reducing the attack surface; introduction of “guardrail” services such as Cloud Custodian or AWS Config Rules can be used to help enforce cost-related rules as well as security rules.
As described earlier, the FinOps team faces a wide range of challenges. Instead of solving these yourself, look to the wider community — the “members” section of the FinOps Foundation has great resources on best practices and many community discussions. You could also work with a FinOps Certified Service Provider (FCSP) partner to help accelerate your FinOps adoption.
About the author
Aled Sage works for Cloudsoft and is a certified FinOps Practitioner.
Cloudsoft are a FinOps Foundation member and a FinOps Certified Service Provider (FCSP), as well as a launch partner for the FCSP program, and an AWS Advanced Consulting Partner. Cloudsoft helps enterprises with cloud cost management and the adoption of FinOps across their organisations. Our experienced cloud consultants can help you to better understand and reduce your cloud bill, and can help you to keep future costs under control.
Contact Cloudsoft now for a free consultation, and to find out more about the Cloudsoft cost management consultancy packages.